Input:
/*
Compound: CrGaW2F
Source: Alexandria
Functional: PBE with a Hubbard U
Structure: relaxed

Values from the calculation:
As for the volume: 127.70 Å³/cell. The magnetization comes out at 2.91 μB per cell. As for the density of states at the Fermi level: 1.87 states/eV/cell. As for the raw total energy: -4.076 eV per atom. Its space group is No. 123.

a = 5.140 Å, b = 5.140 Å, c = 4.833 Å
α = 90.00°, β = 90.00°, γ = 90.00°
Atoms (fractional coordinates):
Cr 0.000 0.000 0.000
Ga 0.000 0.000 0.500
W 0.000 0.500 0.000
W 0.500 0.000 0.000
F 0.500 0.500 0.500

----------

(1)
Entry from the Alexandria database: SmYHo2Se4 after structural relaxation (PBE).

Unit cell a=7.093 b=4.038 c=7.154 alpha=90.00 beta=108.79 gamma=90.00
Sites, in units of the cell vectors:
1 Sm 0.000 0.000 0.000
2 Y 0.500 0.500 0.000
3 Ho 0.000 0.500 0.500
4 Ho 0.500 0.000 0.500
5 Se 0.251 0.000 0.744
6 Se 0.256 0.500 0.259
7 Se 0.744 0.500 0.741
8 Se 0.749 0.000 0.256

Computed properties:
Fermi-level density of states (states/eV/cell): 4.6
Crystal system: monoclinic
Formation energy from raw total energies (eV per atom): -1.755
Space-group type: P2/m, No. 10
Total DFT energy (no corrections) (eV per atom): -6.039


(2)
Entry from the Alexandria database: HfScU2P4 after structural relaxation (PBE).

Unit cell a=6.604 b=3.810 c=6.675 alpha=90.00 beta=109.20 gamma=90.00
Sites, in units of the cell vectors:
1 Hf 0.000 0.000 0.000
2 Sc 0.500 0.500 0.000
3 U 0.000 0.500 0.500
4 U 0.500 0.000 0.500
5 P 0.244 0.500 0.236
6 P 0.253 0.000 0.764
7 P 0.747 0.000 0.236
8 P 0.756 0.500 0.764

Computed properties:
Fermi-level density of states (states/eV/cell): 9.7
Formation energy (eV per atom): -1.214
Crystal system: monoclinic
Space-group type: P2/m, No. 10
Total DFT energy (no corrections) (eV per atom): -8.776


(3)
Entry from the Alexandria database: SrTaBe2 after structural relaxation (PBE).

Unit cell a=3.069 b=3.492 c=6.725 alpha=90.00 beta=90.09 gamma=90.00
Sites, in units of the cell vectors:
1 Sr 0.000 0.000 0.000
2 Ta 0.000 0.000 0.500
3 Be 0.500 0.500 0.336
4 Be 0.500 0.500 0.664

Computed properties:
Fermi-level density of states (states/eV/cell): 2.2
Formation energy (eV per atom): 0.364
Crystal system: monoclinic
E above lowest polymorph (eV/f.u.): 0.00
Space-group type: P2/m, No. 10
Total DFT energy (no corrections) (eV per atom): -4.882


(4)
Entry from the Alexandria database: MgTcOs2 after structural relaxation (PBE).

Unit cell a=2.757 b=2.757 c=8.043 alpha=90.00 beta=90.00 gamma=90.00
Sites, in units of the cell vectors:
1 Mg 0.000 0.000 0.000
2 Tc 0.500 0.500 0.726
3 Os 0.000 0.000 0.485
4 Os 0.500 0.500 0.260

Computed properties:
Fermi-level density of states (states/eV/cell): 5.8
Formation energy (eV per atom): 0.224
Crystal system: tetragonal
Space-group type: P4mm, No. 99
Total DFT energy (no corrections) (eV per atom): -8.381


(5)
Entry from the Alexandria database: La2HgRuPb after structural relaxation (PBE).

Unit cell a=5.311 b=5.311 c=5.335 alpha=90.00 beta=90.00 gamma=90.00
Sites, in units of the cell vectors:
1 La 0.000 0.500 0.000
2 La 0.500 0.000 0.000
3 Hg 0.000 0.000 0.500
4 Ru 0.000 0.000 0.000
5 Pb 0.500 0.500 0.500

Computed properties:
Fermi-level density of states (states/eV/cell): 4.0
Formation energy (eV per atom): -0.287
Crystal system: tetragonal
E above lowest polymorph (eV/f.u.): 0.17
Space-group type: P4/mmm, No. 123
Total DFT energy (no corrections) (eV per atom): -4.915


(6)
Entry from the Alexandria database: LaTbSm2Ho4 after structural relaxation (PBE).

Unit cell a=7.167 b=7.167 c=12.362 alpha=106.77 beta=106.77 gamma=60.11
Sites, in units of the cell vectors:
1 La 0.250 0.250 0.000
2 La 0.750 0.750 0.000
3 Tb 0.749 0.251 0.500
4 Tb 0.750 0.250 0.000
5 Sm 0.249 0.251 0.500
6 Sm 0.249 0.751 0.500
7 Sm 0.250 0.750 0.000
8 Sm 0.749 0.751 0.500
9 Ho 0.000 0.002 0.252
10 Ho 0.000 0.501 0.252
11 Ho 0.499 0.000 0.748
12 Ho 0.499 0.500 0.748
13 Ho 0.500 0.001 0.252
14 Ho 0.500 0.501 0.252
15 Ho 0.998 0.000 0.748
*/

Work order:
The reader should search the calculation results further above for the word "polymorph" and reproduce each line that has it.

Completed:
E above lowest polymorph (eV/f.u.): 0.00
E above lowest polymorph (eV/f.u.): 0.17